Input >
=====
1.
MgBePdO4: optimized geometry, PBE. Values from VASP.

Computed properties:
**Final energy**: -5.9582 eV/atom
**Density of states at the Fermi level**: 0.0 states/eV per cell
**ΔE_f (raw)**: -1.6230 eV per atom
**Symmetry**: Imma

```
&SYSTEM
  ibrav = 0, nat = 14, ntyp = 4
/
ATOMIC_SPECIES
O 16.00 O.upf
Pd 106.42 Pd.upf
Mg 24.30 Mg.upf
Be 9.01 Be.upf
ATOMIC_POSITIONS crystal
O 0.750 0.746 0.755
O 0.247 0.256 0.756
Pd 0.000 0.500 0.500
Mg 0.000 0.000 0.500
O 0.258 0.744 0.244
O 0.250 0.745 0.754
O 0.742 0.256 0.756
O 0.250 0.254 0.245
Mg 0.500 0.000 0.500
Pd 0.000 0.000 0.000
O 0.753 0.744 0.244
Be 0.653 0.597 0.097
O 0.750 0.255 0.246
Be 0.347 0.403 0.903
CELL_PARAMETERS angstrom
-0.289 4.256 -3.846
-2.804 -0.816 -4.982
-5.026 2.681 -0.945
```


2.
PuMgBeO5: optimized geometry, PBE. Values from VASP.

Computed properties:
**Final energy**: -8.0489 eV/atom
**Density of states at the Fermi level**: 9.5 states/eV per cell
**ΔE_f (raw)**: -2.4934 eV per atom
**Symmetry**: C2/c

```
&SYSTEM
  ibrav = 0, nat = 16, ntyp = 4
/
ATOMIC_SPECIES
Pu 244.00 Pu.upf
O 16.00 O.upf
Mg 24.30 Mg.upf
Be 9.01 Be.upf
ATOMIC_POSITIONS crystal
Pu 0.000 0.000 0.000
O 0.274 0.397 0.588
O 0.117 0.883 0.250
Mg 0.642 0.358 0.750
O 0.668 0.059 0.341
Be 0.311 0.689 0.750
Pu 0.000 0.000 0.500
O 0.059 0.668 0.841
Mg 0.358 0.642 0.250
O 0.332 0.941 0.659
Be 0.689 0.311 0.250
O 0.397 0.274 0.088
O 0.603 0.726 0.912
O 0.726 0.603 0.412
O 0.883 0.117 0.750
O 0.941 0.332 0.159
CELL_PARAMETERS angstrom
-3.764 2.298 -2.993
-1.254 -5.176 0.218
-1.352 2.573 7.047
```


3.
PuMgBe2O6: optimized geometry, PBE. Values from VASP.

Computed properties:
**Final energy**: -7.8596 eV/atom
**Density of states at the Fermi level**: 6.1 states/eV per cell
**ΔE_f (raw)**: -2.5468 eV per atom
**Symmetry**: C2/c

```
&SYSTEM
  ibrav = 0, nat = 20, ntyp = 4
/
ATOMIC_SPECIES
Be 9.01 Be.upf
O 16.00 O.upf
Mg 24.30 Mg.upf
Pu 244.00 Pu.upf
ATOMIC_POSITIONS crystal
Be 0.168 0.355 0.222
O 0.325 0.209 0.026
Be 0.668 0.222 0.355
O 0.675 0.791 0.974
O 0.332 0.292 0.394
O 0.825 0.026 0.209
O 0.145 0.622 0.166
Mg 0.750 0.088 0.912
O 0.832 0.394 0.292
O 0.355 0.834 0.378
Mg 0.250 0.912 0.088
Pu 0.250 0.278 0.722
O 0.168 0.606 0.708
O 0.175 0.974 0.791
O 0.855 0.378 0.834
O 0.668 0.708 0.606
Be 0.832 0.645 0.778
O 0.645 0.166 0.622
Be 0.332 0.778 0.645
Pu 0.750 0.722 0.278
CELL_PARAMETERS angstrom
5.363 0.174 0.181
1.933 6.527 0.322
1.933 0.080 6.534
```


4.
MgBeSi2O6: optimized geometry, PBE. Values from VASP.

Computed properties:
**Final energy**: -7.3671 eV/atom
**Density of states at the Fermi level**: 0.0 states/eV per cell
**ΔE_f (raw)**: -2.7755 eV per atom
**Symmetry**: C2/c

```
&SYSTEM
  ibrav = 0, nat = 20, ntyp = 4
/
ATOMIC_SPECIES
O 16.00 O.upf
Si 28.09 Si.upf
Be 9.01 Be.upf
Mg 24.30 Mg.upf
ATOMIC_POSITIONS crystal
O 0.171 0.974 0.789
O 0.051 0.686 0.611
O 0.949 0.314 0.389
O 0.449 0.389 0.314
O 0.064 0.635 0.161
Si 0.811 0.606 0.782
Be 0.750 0.802 0.198
Si 0.689 0.218 0.394
O 0.436 0.839 0.365
O 0.829 0.026 0.211
Be 0.250 0.198 0.802
O 0.564 0.161 0.635
Mg 0.250 0.883 0.117
O 0.329 0.211 0.026
Si 0.311 0.782 0.606
Mg 0.750 0.117 0.883
O 0.671 0.789 0.974
O 0.936 0.365 0.839
Si 0.189 0.394 0.218
O 0.551 0.611 0.686
CELL_PARAMETERS angstrom
-1.895 0.164 -4.844
-4.665 -4.734 -0.369
-4.928 4.474 0.046
```


5.
Mg2Be2SnO6: optimized geometry, PBE. Values from VASP.

Computed properties:
**Final energy**: -6.2376 eV/atom
**Density of states at the Fermi level**: 0.0 states/eV per cell
**ΔE_f (raw)**: -2.2019 eV per atom
**Symmetry**: P-3

```
&SYSTEM
  ibrav = 0, nat = 11, ntyp = 4
/
ATOMIC_SPECIES
O 16.00 O.upf
Sn 118.71 Sn.upf
Be 9.01 Be.upf
Mg 24.30 Mg.upf
ATOMIC_POSITIONS crystal
O 0.036 0.671 0.769
O 0.964 0.329 0.231
Sn 0.000 0.000 0.000
O 0.635 0.964 0.769
Be 0.667 0.333 0.136
Mg 0.667 0.333 0.589
O 0.329 0.365 0.769
O 0.365 0.036 0.231
O 0.671 0.635 0.231
Be 0.333 0.667 0.864
Mg 0.333 0.667 0.411
CELL_PARAMETERS angstrom
-1.522 4.682 -0.975
-3.377 -3.664 0.593
=====

Assignment >
The reader should work out how many lines further up have the word "Final" in them; a number is enough.

Done >
5